• Request:
The reader should say how many lines of the calculation results below hold the word "the", as a bare number.
• Excerpt:
-- begin --
#w
The following is a PBE calculation of a relaxed structure of Ca4SnS6, from the Materials Project database.

Cell and atoms, written as extended XYZ:
```
22
Lattice="6.6927 -3.7603 0.0000 6.6927 3.7603 0.0000 -5.1821 0.0000 12.4703" Properties=species:S:1:pos:R:3 pbc="T T T"
Ca -1.5506 0.9730 10.1328
Ca 4.1017 2.9447 6.2351
Ca 4.2142 1.3610 1.8829
Ca 1.0404 -0.9730 3.8977
Ca 3.4826 0.8401 12.3949
Ca 1.6231 -1.3610 8.1181
Ca 6.0736 -0.8401 6.1597
Ca 6.6927 -2.9447 0.0000
Sn 2.0008 2.0944 9.3112
Sn 4.5918 -2.0944 3.0761
S 1.7987 1.5199 6.9827
S 6.7881 2.2189 1.4003
S 4.2901 2.1045 10.0146
S 1.1127 0.1428 10.4605
S 3.7037 -0.1428 4.2253
S 6.5699 1.8211 6.1313
S 4.3897 -1.5199 0.7476
S 7.3452 0.2291 9.8402
S 4.1971 -2.2189 7.6354
S 9.9363 -0.2291 3.6051
S 6.8811 -2.1045 3.7794
S 3.9788 -1.8211 12.3664
```

Summary:
Space group: No. 9
Piezoelectric modulus e_max: 1.14 C/m²
Magnetization: 0.002 μB/f.u.
Density: 2.49 g cm⁻³
V: 28.5 A^3/atom

=====

#x
The following is a PBE calculation of a relaxed structure of Ca4SnS6, from the Materials Project database.

Cell and atoms, written as extended XYZ:
```
22
Lattice="5.6574 3.2663 4.5312 -5.6574 3.2663 4.5312 0.0000 -6.5326 4.5312" Properties=species:S:1:pos:R:3 pbc="T T T"
Ca -3.4936 0.4815 5.6640
Ca 0.0000 0.0000 3.3984
Ca -2.1638 -2.7848 7.9296
Ca 1.3298 -3.2663 5.6640
Ca -1.3298 3.2663 7.9295
Ca 2.1638 2.7848 5.6640
Ca 0.0000 0.0000 10.1951
Ca 3.4936 -0.4815 7.9295
Sn 0.0000 0.0000 0.0000
Sn 0.0000 0.0000 6.7968
S -4.9889 -1.2838 7.5906
S -1.3826 -4.9624 6.0029
S -1.3826 -1.5702 5.3250
S -3.6062 3.6786 6.0029
S -0.6685 1.9825 5.3250
S -2.0512 0.4123 8.2685
S 2.0512 -0.4123 5.3250
S 0.6685 -1.9825 8.2685
S 3.6062 -3.6786 7.5906
S 1.3826 1.5702 8.2685
S 1.3826 4.9624 7.5906
S 4.9888 1.2838 6.0029
```

Summary:
Space group: No. 167
Magnetization: 0.001 μB/f.u.
Density: 3.12 g cm⁻³
V: 22.8 A^3/atom

=====

#x is favored, and the nearest alternative lies 20 meV/atom above it.

----------

DFT (PBE) results for AlH4NF4 after structural relaxation.

Unit cell a=5.1148 b=5.1148 c=12.9260 alpha=90.00 beta=90.00 gamma=90.00
Last column: nearest neighbours and their distance in Å.
Space group P4_2/mbc (No. 135)
Asymmetric unit:
1 Al 0.0000 0.5000 0.0000 (multiplicity 4)  6 F 1.81-1.84
2 H 0.0015 0.1655 0.2036 (multiplicity 16)  1 N 1.04
3 N 0.0000 0.0000 0.2500 (multiplicity 4)  4 H 1.04
4 F 0.0000 0.5000 0.1398 (multiplicity 8)  1 Al 1.81, 2 H 1.90
5 F 0.2030 0.2027 0.0000 (multiplicity 8)  2 Al 1.84

Summary:
Energy relative to the elements = -208.6 kJ per mole of atoms
Raw total energy = -212.3 eV/cell
Energy with MP2020 corrections = -5.493 eV per atom
Magnetization = 0.000 μB/atom
Relative energy among the computed polymorphs = 0 meV/atom

=====

DFT (PBE) results for U after structural relaxation.

Unit cell a=8.3212 b=7.1228 c=5.5866 alpha=90.00 beta=130.85 gamma=90.00
Last column: nearest neighbours and their distance in Å.
Space group C2/c (No. 15)
Asymmetric unit:
1 U 0.0000 0.1788 0.2500 (multiplicity 4)  4 U 2.63-2.88
2 U 0.2218 0.4174 0.8701 (multiplicity 8)  3 U 2.63-2.88

Summary:
Energy relative to the elements = 27.2 kJ per mole of atoms
Raw total energy = -132.1 eV/cell
Magnetization = 0.132 μB/atom
Relative energy among the computed polymorphs = 281 meV/atom

=====

DFT (PBE) results for Mg16Al12Ga after structural relaxation.

Unit cell a=10.5046 b=14.8875 c=9.0422 alpha=90.00 beta=124.83 gamma=90.00
Last column: nearest neighbours and their distance in Å.
Space group Cm (No. 8)
Asymmetric unit:
1 Mg 0.0000 0.0000 0.0000 (multiplicity 2)  4 Mg 3.14-3.18, 12 Al 3.17-3.22
2 Mg 0.0042 0.0000 0.3499 (multiplicity 2)  4 Mg 3.03-3.14, 6 Al 3.07-3.13, 1 Ga 3.37
3 Mg 0.0592 0.3437 0.4023 (multiplicity 4)  5 Al 2.90-3.18, 7 Mg 3.06-3.18
4 Mg 0.1483 0.5000 0.6648 (multiplicity 2)  1 Ga 2.99, 6 Al 3.04-3.22, 3 Mg 3.06-3.17
5 Mg 0.1606 0.1581 0.6027 (multiplicity 4)  5 Al 2.89-3.14, 6 Mg 3.03-3.21, 1 Ga 3.06
6 Mg 0.1751 0.1740 0.9986 (multiplicity 4)  4 Mg 3.04-3.18, 6 Al 3.08-3.11
-- stop --
• Worked solution:
7